The Curious Case of the Concealed Shoes
Posted on July 14, 2016 by Jenny ONeill
## Molecular data, as found in the file
<<<
Entry 1:
Molecular formula: C13H25BrN4O3
Method: DFT, ωB97M-V with the def2-TZVPD basis set

```
! RIJCOSX wB97M-V def2-TZVPD def2/J DEFGRID3
* xyz 0 1
C -2.531 -0.523 1.311
O -1.272 -0.382 1.981
C -0.449 -1.581 1.795
C 0.136 -1.492 0.312
C 1.611 -2.085 0.133
C 2.554 -1.246 -0.833
C 2.182 -1.334 -2.382
C 0.818 -0.620 -2.760
N -0.353 -1.258 -3.293
C -1.270 -0.139 -3.387
N -2.542 -0.291 -3.820
N -0.610 1.024 -2.920
C -1.328 2.342 -2.855
C -0.537 3.468 -2.045
C -0.993 3.598 -0.512
Br 0.122 2.454 0.675
N 0.660 0.781 -2.534
H -3.104 0.460 1.471
H -3.169 -1.371 1.735
H -2.451 -0.650 0.178
H -1.203 -2.450 1.801
H 0.327 -1.711 2.609
H -0.535 -2.011 -0.450
H 0.206 -0.370 0.063
H 2.101 -2.052 1.173
H 1.596 -3.192 -0.161
H 3.612 -1.683 -0.733
H 2.653 -0.146 -0.538
H 3.002 -0.757 -2.945
H 2.193 -2.397 -2.793
H -2.958 0.405 -4.444
H -3.153 -1.056 -3.513
H -2.367 2.172 -2.401
H -1.472 2.691 -3.927
H -0.781 4.471 -2.547
H 0.593 3.372 -2.084
H -2.103 3.353 -0.391
H -0.885 4.705 -0.243
H 1.389 1.389 -2.154
C 1.370 -0.243 5.700
C 1.608 -1.659 6.225
O 0.822 -2.041 7.125
O 2.567 -2.267 5.686
H 0.525 0.233 6.204
H 2.260 0.370 5.864
H 1.158 -0.279 4.627
*
```

Properties
Max |F| = 0.1153 hartree/bohr
Energy above the lowest of the compared OMol25 structures with the same formula, charge and spin = 167.30 kcal per mole
HOMO-LUMO gap = 0.1397 Eh

---

Entry 2:
Molecular formula: C13H25CeIP2
Method: DFT, ωB97M-V with the def2-TZVPD basis set

```
! RIJCOSX wB97M-V def2-TZVPD def2/J DEFGRID3
* xyz 2 1
C -3.946 2.358 -4.086
C -5.106 1.556 -3.504
H -3.939 3.374 -3.685
H -4.044 2.446 -5.172
H -2.976 1.900 -3.872
H -4.929 1.270 -2.465
H -6.027 2.143 -3.536
H -5.285 0.642 -4.076
Ce -0.827 -0.239 -1.051
C -2.876 -1.019 -1.597
H -3.536 -0.505 -0.882
H -3.099 -2.070 -1.657
H -3.037 -0.576 -2.583
I 0.255 0.614 -3.586
C 1.078 2.504 0.181
P 0.754 0.930 1.012
C -0.159 0.891 2.535
C 2.395 0.454 1.669
C 3.496 1.158 2.180
C 4.749 0.528 2.119
C 4.891 -0.740 1.569
C 3.768 -1.537 1.290
C 2.503 -0.925 1.356
P 0.858 -1.720 1.387
C 1.203 -2.987 2.560
C -0.163 -2.689 0.014
H 0.181 3.142 0.224
H 1.433 2.367 -0.883
H 1.833 2.916 0.882
H -0.326 -0.160 2.894
H 0.489 1.501 3.207
H -1.103 1.388 2.357
H 3.461 2.155 2.632
H 5.628 1.048 2.471
H 5.895 -1.110 1.331
H 3.900 -2.558 0.915
H 1.563 -2.556 3.507
H 0.236 -3.474 2.723
H 1.963 -3.669 2.159
H -1.223 -2.314 0.038
H 0.279 -2.728 -0.994
H -0.213 -3.709 0.415
*
```

Properties
Max |F| = 0.0320 hartree/bohr
Energy above the lowest of the compared OMol25 structures with the same formula, charge and spin = 76.07 kcal per mole
HOMO-LUMO gap (alpha / beta) = 0.2265 / 0.2248 Eh

---

Entry 3:
Molecular formula: C13H25Cl15
Method: DFT, ωB97M-V with the def2-TZVPD basis set

```
! RIJCOSX wB97M-V def2-TZVPD def2/J DEFGRID3
* xyz 1 2
Cl 1.420 0.969 4.315
C 0.946 -0.573 5.140
C 1.519 -1.788 4.414
Cl 3.304 -1.768 4.148
H -0.143 -0.588 5.192
H 1.222 -0.616 6.194
H 1.085 -1.856 3.416
H 1.254 -2.728 4.899
Cl 1.151 2.326 -1.446
C 2.743 3.145 -1.968
>>>

=====
[1]
Below is C31H70F3HgN10O13S as an isolated structure at a distorted geometry, with properties calculated with wB97M-V/def2-TZVPD.

The gap between HOMO and LUMO comes out at 3.844 eV. The calculation puts the LUMO energy at -0.2522 Eh. As for the HOMO energy: -10.71 eV. Its net charge is +1. The energy comes out at -97954.4821 eV. Its spin multiplicity is 1.

Element x y z (Å)
Hg1 5.5512 10.2461 -9.1231
C1 2.4007 13.3495 -7.4251
F1 2.1924 13.7092 -8.6893
F2 2.1283 14.3393 -6.5965
F3 1.6533 12.3173 -7.0802
S1 4.2029 12.9752 -7.2375
O1 4.3129 12.4538 -5.9008
O2 4.5249 11.9715 -8.2840
O3 4.8909 14.2287 -7.3982
C2 4.9406 17.7798 -6.4182
O4 4.8211 18.2599 -5.3136
N1 6.1611 17.4530 -6.9150
C3 6.3283 17.1277 -8.3300
C4 7.3040 17.1834 -6.0994
H1 4.1898 17.6109 -7.2093
H2 7.2810 17.4735 -8.7216
H3 5.5602 17.6362 -8.9162
H4 6.1802 16.0494 -8.4477
H5 7.0720 16.8367 -5.0901
H6 8.0414 16.5098 -6.5292
H7 7.8557 18.1159 -5.9147
C5 2.6443 11.9451 -0.0363
O5 3.3436 10.9984 0.2622
N2 2.4664 12.4320 -1.2774
C6 1.5086 13.4929 -1.6143
C7 3.2769 11.8858 -2.3674
H8 1.9176 12.3620 0.6884
H9 0.5981 12.9911 -1.9530
H10 1.9268 14.0904 -2.4205
H11 1.3081 14.1268 -0.7544
H12 2.9939 10.8388 -2.5517
H13 3.0305 12.4924 -3.2307
H14 4.3211 11.7572 -2.0777
C8 -0.9080 16.8140 -11.0575
O6 -0.5583 17.3040 -12.1151
N3 -1.1388 15.4927 -10.8593
C9 -1.5812 14.9922 -9.5688
C10 -0.7987 14.5033 -11.8572
H15 -1.1590 17.4088 -10.1607
H16 -2.2255 15.6998 -9.0569
H17 -0.6854 14.7338 -8.9972
H18 -2.1420 14.0678 -9.7092
H19 -1.6679 13.9082 -12.1380
H20 -0.4557 14.9711 -12.7766
H21 -0.0096 13.8881 -11.4181
C11 10.0752 12.4908 -7.8179
O7 11.2430 12.3390 -7.6167
N4 9.2502 13.3687 -7.1845
C12 7.8263 13.1712 -7.1767
C13 9.7674 13.9986 -5.9759
H22 9.5300 11.8464 -8.5388
H23 7.5126 12.3555 -6.5132
H24 7.4705 12.9266 -8.1825
H25 7.2916 14.0601 -6.8566
H26 10.8451 13.9051 -5.8812
H27 9.4997 15.0362 -5.8129
H28 9.4145 13.3874 -5.1298
C14 6.3496 9.9873 -5.7940
O8 6.0273 9.9045 -7.0089
N5 7.5652 9.9394 -5.3286
C15 7.8452 9.9045 -3.8844
C16 8.7285 9.9423 -6.1899
H29 5.5877 10.1257 -5.0254
H30 7.1427 10.4511 -3.2633
H31 8.8882 10.1444 -3.7137
H32 7.7520 8.8585 -3.5641
H33 8.3920 9.8776 -7.2175
H34 9.2715 10.8832 -6.0825
H35 9.4369 9.1749 -5.8881
C17 6.2147 13.4578 -3.3922
O9 6.8386 12.6976 -2.6847
N6 5.3054 14.3414 -2.9397
C18 4.7148 15.3529 -3.8025
C19 5.0999 14.5993 -1.5236
H36 6.2674 13.5231 -4.4922
H37 3.6252 15.2352 -3.7423
H38 4.9746 15.2535 -4.8548
H39 4.9494 16.3483 -3.4263
H40 5.3119 15.6515 -1.3296
H41 4.0608 14.4120 -1.2525
H42 5.7273 13.9614 -0.9100
C20 4.0600 12.0423 -11.5328
O10 4.6324 11.0532 -11.0332
N7 4.5403 13.2592 -11.5011
C21 3.7485 14.3977 -12.0069
C22 5.7225 13.6419 -10.7610
H43 3.0901 11.9964 -12.0285
H44 3.4840 15.0116 -11.1454
H45 2.8472 14.0068 -12.4734
H46 4.3333 14.9734 -12.7192
H47 5.5036 14.0642 -9.7763
H48 6.3819 12.8001 -10.5328
H49 6.3574 14.2986 -11.3554
C23 -2.4730 10.9869 -11.1293
O11 -2.5879 11.6562 -12.1368
N8 -1.2716 10.6089 -10.6356
C24 0.0090 11.0197 -11.1736
=====
Have you ever found old shoes hidden in odd locations in your house? If so, your discovery may be evidence of a mysterious worldwide superstitious practice. A recent donation of a collection of ancient shoes focused our attention on this strange practice of concealing shoes in buildings.
This collection of shoes was discovered in a secret room hidden behind a fireplace in an old house at the Head of Westport. During chimney repairs, a hole was made in the fireplace, at which point approximately 20 individual shoes were discovered scattered inside a large void behind the chimney mass. These empty spaces behind a chimney weren’t uncommon and generally had little purpose aside from being storage or just space behind the central chimney mass. The collection consisted of well-worn children’s shoes.
Our research into this concealed shoe collection led us to a database of over 2000 discoveries, compiled by June Swann, at Northampton Museum, UK. The database reveals a very diverse range of locations where shoes are found, not just the locations within the buildings, but also the type of buildings. Not only have they have been found in cottages and farms, but also mansions and chapels indicating that superstitious beliefs weren’t limited to any particular demographic.
Evidence shows that shoes have been concealed in homes dating from the Middle Ages. Theories about this practice abound from warding off evil to bestowing overall good luck. Some even consider the possibility of the hidden shoes as a fertility charm as several concealments were found embedded in the walls of the master bedroom in the home. Theories mostly focus on superstitious power of shoes to repel evil spirits, a belief that continued into the early 20th century, spreading from Britain and Europe to Australia and America via Colonial New England. Concealed shoes have even been found in China. Shoes are most often found near areas leading into the house; most often chimneys, but also doors and windows. The shoes are well worn, being the only garment to take the shape or “essence” of the wearer, giving evidence to the idea that perhaps the practice was meant to trick evil spirits entering the house to notice the shoes and not the inhabitants of the house.
Shoes have long had superstitions and good luck associated with them, even horses’ shoes are considered good luck. With the long list of superstitions, it’s no wonder people might have believed burying them within their homes would blanket good luck over the inhabitants or repel evil from the home. However, shoes aren’t the only items to have been found secreted in buildings. Researchers have looked at other items including pieces of clothing, “witch” bottles and animal bones, some speculating on a magical or ritual purpose. We may never know why people hid shoes and other items within their homes however the number of discoveries and the deliberate placement of these items seem to indicate a special purpose. We would love to hear of any local concealed shoe discoveries!
Further reading: (England’s Northampton Museum’s concealed shoes) (finding concealed shoes in Indiana, US) (deliberately concealed objects project) (various strange items found secreted in homes) (list of shoe-related superstitions)
**Misplaced data records:**
┌──
Entry 1:
Computed, not measured: a 2-piece molecular cluster, C6H9N2O2 overall at a distorted geometry, with the ωB97M-V functional and the def2-TZVPD basis.

```
19
Properties=species:S:1:pos:R:3:forces:R:3
C 0.766820 -1.035568 1.021650 -0.664 0.163 0.431
C -0.260069 -1.710255 0.163447 -0.336 0.008 0.426
C -1.892375 -1.981942 -1.219518 0.496 1.049 0.130
C -0.497606 -3.051239 0.083337 -0.059 -0.133 0.246
N -1.168831 -1.057670 -0.644869 0.375 0.140 -0.284
N -1.602831 -3.209782 -0.732530 0.427 -0.751 -0.840
H -2.444025 -1.738138 -2.112657 -0.690 -0.463 0.226
H 0.469738 -0.021703 1.331351 0.064 -0.104 -0.677
H 1.713405 -0.977936 0.487567 0.153 0.059 0.227
H -1.820533 -4.071265 -1.204017 -0.134 0.038 0.090
H 0.013825 -3.897321 0.510600 -0.126 0.011 0.163
H 0.840704 -1.580497 1.967619 0.450 -0.299 -0.219
C 0.865482 3.909496 -0.482240 -0.591 -0.791 0.201
C 0.764922 2.965106 0.733631 0.914 -1.043 0.646
O 0.226544 1.839759 0.564817 -0.258 0.752 -0.232
O 1.358949 3.342333 1.777104 -0.335 0.410 -0.249
H 1.922301 4.041556 -0.683862 0.137 0.493 0.027
H 0.332111 4.822920 -0.221480 0.304 0.259 -0.257
H 0.411471 3.412145 -1.339951 -0.126 0.202 -0.056
```
Positions in Å, forces in eV/Å.

For the HOMO-LUMO gap, the calculation gives 6.7 eV. The charge is -1. As for the energy above the lowest of the compared OMol25 structures with the same formula, charge and spin: 1.631 eV. Its HOMO energy is -3.62 eV.



Entry 2:
Computed, not measured: a 3-piece molecular cluster, C20H19Br4NO3 overall at a distorted geometry, with the ωB97M-V functional and the def2-TZVPD basis.

```
47
Properties=species:S:1:pos:R:3:forces:R:3
O 0.160454 2.983750 -3.149008 0.310 -0.459 0.379
C 0.636508 1.941527 -2.763130 -0.029 -0.267 0.113
C 2.072149 1.842147 -2.096474 -1.091 -0.744 0.333
C 1.805663 1.301128 -0.644206 0.197 -0.276 0.809
C 1.100078 2.119821 0.358195 0.586 -2.626 0.923
C 0.832090 1.553626 1.692271 0.689 -1.432 -0.753
C 1.257474 0.190272 2.077623 0.584 0.866 -2.611
C 1.973440 -0.561005 1.069492 -0.115 1.087 -1.335
C 2.256413 -0.027507 -0.275621 -1.326 0.699 1.741
C 3.043465 -1.105194 -1.060177 0.428 0.499 1.104
O 3.358517 -1.190527 -2.214891 -0.252 0.525 0.474
N 3.433903 -2.128369 -0.096723 -0.975 0.381 1.163
C 2.570046 -1.995295 1.076197 -0.812 1.231 0.082
O 2.337719 -2.861377 1.871676 0.482 0.336 -0.314
C -0.159146 0.617603 -2.866078 -0.828 -2.241 -0.132
C 0.489308 -0.539214 -3.484942 -0.953 0.024 0.332
C -0.160866 -1.831304 -3.672174 -1.309 1.901 1.090
C -1.530015 -1.977838 -3.199261 1.074 1.851 -0.086
C -2.193040 -0.847080 -2.555273 1.399 0.727 -0.687
C -1.534449 0.449290 -2.378472 1.037 -1.753 -1.111
H 2.604711 2.826080 -2.087068 -0.650 -0.832 -0.115
H 2.631813 1.066504 -2.687060 -0.278 0.833 0.739
H 0.734606 3.144594 0.114019 0.432 -1.079 0.061
H 0.268613 2.138261 2.470545 0.759 -0.788 -1.201
H 1.061323 -0.254323 3.075696 0.081 0.520 -0.886
H 4.373994 -2.025315 0.303085 -0.024 -0.327 -0.941
H 1.538530 -0.404991 -3.846770 -1.083 -0.281 0.360
└──
Lenora Robinson